Category: DRE Dwellings

Soul Matters: What Does It Mean To Be A People of Renewal?

Faith Development For All Soul Matters What Does It Mean To Be A People of Renewal?  Find Your Packet Here: September is a season of homecoming for us UUs. And renewal is central to that. At the opening of each new church year, we renew our commitments to each other and our church community. … Continue reading Soul Matters: What Does It Mean To Be A People of Renewal?

Soulful Home – Thresholds

Soulful Home What Does it Mean to be a Family of Thresholds? Knock Knock. Who’s there? Adore. Adore who? Adore is between you and me. Could you please open up? This month, we’re approaching thresholds with curiosity, a little silliness, and a compassionate acknowledgement that thresholds cost something; they are edges and limits that … Continue reading Soulful Home – Thresholds

Soul Matters – Thresholds

Soul Matters What Does It Mean To Be A People of Thresholds? When encountering thresholds, we often talk as if our work is that of successfully “passing through” them. We speak of “making healthy transitions.” We seek out advice and support as we decide which thresholds to lean into and which to resist. The … Continue reading Soul Matters – Thresholds

Creating Sabbath Space Week Two

-- begin --
Entry 1:
Na3RhF: simulated powder X-ray diffraction pattern (λ = 1.5418 Å (Cu Kα)), based on a GGA-PBE-relaxed structure.
Lines closer than 0.1° are merged.

```
data_Na3RhF
_chemical_formula_sum 'Na3 Rh1 F1'
_symmetry_space_group_name_H-M 'P m -3 m'
_symmetry_Int_Tables_number 221
_symmetry_space_group_name_Hall '-P 4 2 3'
_cell_length_a 4.5792
_cell_length_b 4.5792
_cell_length_c 4.5792
_cell_angle_alpha 90.00
_cell_angle_beta 90.00
_cell_angle_gamma 90.00
loop_
_atom_site_label
_atom_site_type_symbol
_atom_site_fract_x
_atom_site_fract_y
_atom_site_fract_z
_atom_site_occupancy
Na1 Na 0.0000 0.0000 0.5000 1
Rh1 Rh 0.5000 0.5000 0.5000 1
F1 F 0.0000 0.0000 0.0000 1
```

Most intense lines, 2θ = 15–90°, low angle first:
- 2θ = 19.38°, I = 42
- 2θ = 27.55°, I = 100
- 2θ = 33.91°, I = 94
- 2θ = 39.35°, I = 72
- 2θ = 48.71°, I = 39
- 2θ = 56.87°, I = 46

=====

Entry 2:
NaCaInBr6: simulated powder X-ray diffraction pattern (λ = 1.5418 Å (Cu Kα)), based on a GGA-PBE-relaxed structure.
Lines closer than 0.1° are merged.

```
data_NaCaInBr6
_chemical_formula_sum 'Na2 Ca2 In2 Br12'
_symmetry_space_group_name_H-M 'P -3 1 c'
_symmetry_Int_Tables_number 163
_symmetry_space_group_name_Hall '-P 3 2c'
_cell_length_a 7.2222
_cell_length_b 7.2222
_cell_length_c 13.2251
_cell_angle_alpha 90.00
_cell_angle_beta 90.00
_cell_angle_gamma 120.00
loop_
_atom_site_label
_atom_site_type_symbol
_atom_site_fract_x
_atom_site_fract_y
_atom_site_fract_z
_atom_site_occupancy
Na1 Na 0.0000 0.0000 0.0000 1
Ca1 Ca 0.3333 0.6667 0.2500 1
In1 In 0.3333 0.6667 0.7500 1
Br1 Br 0.0198 0.3646 0.6304 1
```

Most intense lines, 2θ = 15–90°, low angle first:
- 2θ = 15.67°, I = 16
- 2θ = 19.54°, I = 15
- 2θ = 28.16°, I = 100
- 2θ = 36.86°, I = 47
- 2θ = 43.41°, I = 36
- 2θ = 48.38°, I = 23

=====

Entry 3:
KNa3Au3: simulated powder X-ray diffraction pattern (λ = 1.5418 Å (Cu Kα)), based on a GGA-PBE-relaxed structure.
Lines closer than 0.1° are merged.

```
data_KNa3Au3
_chemical_formula_sum 'K2 Na6 Au6'
_symmetry_space_group_name_H-M 'P m -3 n'
_symmetry_Int_Tables_number 223
_symmetry_space_group_name_Hall '-P 4n 2 3'
_cell_length_a 8.0720
_cell_length_b 8.0720
_cell_length_c 8.0720
_cell_angle_alpha 90.00
_cell_angle_beta 90.00
_cell_angle_gamma 90.00
loop_
_atom_site_label
_atom_site_type_symbol
_atom_site_fract_x
_atom_site_fract_y
_atom_site_fract_z
_atom_site_occupancy
K1 K 0.0000 0.0000 0.0000 1
Na1 Na 0.0000 0.2500 0.5000 1
Au1 Au 0.0000 0.5000 0.2500 1
```

Most intense lines, 2θ = 15–90°, low angle first:
- 2θ = 15.52°, I = 39
- 2θ = 24.66°, I = 100
- 2θ = 27.06°, I = 47
- 2θ = 38.64°, I = 35
- 2θ = 40.28°, I = 29
- 2θ = 41.87°, I = 29

=====

Entry 4:
Ce2P2S7: simulated powder X-ray diffraction pattern (λ = 1.5418 Å (Cu Kα)), based on a GGA-PBE-relaxed structure.
Lines closer than 0.1° are merged.

```
data_Ce2P2S7
_chemical_formula_sum 'Ce4 P4 S14'
_symmetry_space_group_name_H-M 'C 1 2/m 1'
_symmetry_Int_Tables_number 12
_symmetry_space_group_name_Hall '-C 2y'
-- stop --

Creating Sabbath Space Week Two Introduction  Welcome to Week Two of our “Sabbath Space” adventure.  Each week you will get a packet that includes:  Guidance for adding 1-2 new pieces of your family home altar, or “Chalice Home” as we also like to call it  A family worship guide developed celebrate and deepen your connection … Continue reading Creating Sabbath Space Week Two

Soulful Home: Finding the Sacred in Everyday Spaces.

Soulful Home: Finding the Sacred in Everyday Spaces. What does it mean to be a family of Wisdom? Find your packet here: This month, we’re doing two sage things together: reminding ourselves of the many unexpected ways wisdom presents itself and re-asserting our trust in our wisdom as parents. I want to start with … Continue reading Soulful Home: Finding the Sacred in Everyday Spaces.

Mystery Pals

Mystery Pals is a multi-Sunday event in which children and youth are anonymously (it’s a Mystery!) paired up with an older person (a youth or adult) as pen pals.  Pairings are based on shared interests, and participants learn who their Mystery Pals are only on the final Sunday. Each Sunday, starting April 5th and ending … Continue reading Mystery Pals


In some Christian traditions, in preparation for the celebration of Easter, the faithful make a personal sacrifice as a way of bringing them closer to G*d and reminding them of the sacrifices that Jesus and his followers made. #UULent is a way for Unitarian Universalists to engage in a shared spiritual practice alongside siblings in … Continue reading #UULent